Activity =
Transcribe the part of the data underneath that starts with the line with "-0.396" and stops after the one with "1.647 0.246".

Source =
┌──
# 1
Here is C37H24BrIIrN6O4S2 as an isolated structure from OMol25. Energies are from ωB97M-V/def2-TZVPD.

Calculated values
E_HOMO (alpha / beta)	-8.1 / -8.2	eV
strongest force on any atom	0.0107	hartree/bohr
LUMO (alpha / beta)	-0.577 / -1.694	eV

The geometry in ORCA input format:
```
! wB97M-V def2-TZVPD RIJCOSX def2/J DEFGRID3
* xyz 0 2
Ir -0.345 -0.798 0.656
I -1.397 -3.151 0.951
C -0.003 -3.990 -0.357
C -0.123 -5.289 -0.753
C 0.857 -5.836 -1.608
C 1.911 -5.070 -2.007
C 2.040 -3.717 -1.599
C 3.128 -2.927 -2.038
C 3.206 -1.618 -1.667
C 2.199 -1.036 -0.868
C 1.123 -1.748 -0.396
C 1.053 -3.136 -0.758
H -0.960 -5.896 -0.431
H 0.757 -6.858 -1.948
H 2.667 -5.481 -2.664
H 3.880 -3.376 -2.674
H 4.029 -1.002 -2.008
H 2.282 0.023 -0.653
S -1.183 -0.296 -1.420
C -2.031 -1.707 -2.057
C -1.466 -2.697 -2.835
C -2.259 -3.770 -3.236
C -1.677 -4.833 -4.001
N -1.206 -5.681 -4.618
C -3.612 -3.809 -2.859
C -4.181 -2.779 -2.119
C -3.385 -1.707 -1.725
S -3.876 -0.316 -0.813
C -4.431 -4.930 -3.231
N -5.085 -5.832 -3.510
H -0.419 -2.661 -3.105
H -5.228 -2.822 -1.853
C 0.920 -1.866 3.551
O 0.835 -0.865 2.530
C 1.647 0.246 2.632
C 2.568 0.404 3.649
C 3.363 1.542 3.659
Br 4.623 1.752 5.053
C 3.257 2.507 2.685
C 2.324 2.352 1.657
C 1.517 1.221 1.636
O 0.623 1.033 0.603
C 2.295 3.399 0.618
N 3.352 4.111 0.330
C 2.939 4.998 -0.645
C 3.656 5.987 -1.320
C 2.984 6.744 -2.255
C 1.621 6.533 -2.528
C 0.895 5.558 -1.874
C 1.583 4.798 -0.933
N 1.193 3.764 -0.110
H 0.712 -1.416 4.521
H 1.907 -2.328 3.534
H 0.149 -2.593 3.321
H 2.686 -0.336 4.426
H 3.890 3.382 2.682
H -0.308 1.692 0.719
H 4.705 6.144 -1.107
H 3.511 7.519 -2.796
H 1.131 7.149 -3.271
H -0.152 5.393 -2.089
H 0.257 3.407 -0.021
C -3.651 3.496 1.411
N -3.365 2.142 1.878
C -4.254 1.441 2.652
C -3.983 0.202 3.072
C -2.750 -0.437 2.652
O -2.478 -1.594 2.967
N -1.886 0.308 1.866
C -2.186 1.560 1.522
O -1.375 2.291 0.861
H -4.625 3.788 1.792
H -3.662 3.522 0.324
H -2.894 4.189 1.773
H -5.168 1.963 2.897
H -4.674 -0.358 3.681
*
```

The net atomic charges from Löwdin, expressed in e, are: atom 1 (Ir): 0.8677, atom 2 (I): 1.4334, atom 3 (C): -0.5706, atom 4 (C): -0.1422, atom 5 (C): -0.0761, atom 6 (C): -0.0252, atom 7 (C): -0.1707, atom 8 (C): -0.0386, atom 9 (C): -0.0662, atom 10 (C): -0.1049, atom 11 (C): -0.3151, atom 12 (C): -0.2565, atom 13 (H): 0.1035, atom 14 (H): 0.1101, atom 15 (H): 0.1164, atom 16 (H): 0.1126, atom 17 (H): 0.1071, atom 18 (H): 0.0915, atom 19 (S): 0.7173, atom 20 (C): -0.6761, atom 21 (C): -0.0370, atom 22 (C): -0.1795, atom 23 (C): -0.1796, atom 24 (N): 0.1812, atom 25 (C): -0.1743, atom 26 (C): -0.0367, atom 27 (C): -0.7549, atom 28 (S): 0.6799, atom 29 (C): -0.1704, atom 30 (N): 0.1780, atom 31 (H): 0.1332, atom 32 (H): 0.1248, atom 33 (C): -0.0373, atom 34 (O): -0.2398, atom 35 (C): -0.1807, atom 36 (C): -0.0510, atom 37 (C): -0.6661, atom 38 (Br): 0.7640, atom 39 (C): -0.0612, atom 40 (C): -0.0503, atom 41 (C): -0.1833, atom 42 (O): -0.2191, atom 43 (C): -0.2530, atom 44 (N): 0.1783, atom 45 (C): -0.2248, atom 46 (C): -0.0165, atom 47 (C): -0.0963, atom 48 (C): -0.0967, atom 49 (C): -0.0212, atom 50 (C): -0.1852, atom 51 (N): 0.1888, atom 52 (H): 0.1102, atom 53 (H): 0.1117, atom 54 (H): 0.0370, atom 55 (H): 0.1024, atom 56 (H): 0.1122, atom 57 (H): 0.0087, atom 58 (H): 0.1106, atom 59 (H): 0.0983, atom 60 (H): 0.0992, atom 61 (H): 0.1082, atom 62 (H): 0.1301, atom 63 (C): 0.0078, atom 64 (N): -0.0384, atom 65 (C): -0.0397, atom 66 (C): 0.0232, atom 67 (C): -0.5255, atom 68 (O): -0.1436, atom 69 (N): 0.0575, atom 70 (C): -0.4707, atom 71 (O): 0.0234, atom 72 (H): 0.0925, atom 73 (H): 0.1023, atom 74 (H): 0.0995, atom 75 (H): 0.1324, atom 76 (H): 0.1202

---

# 2
Here is C37H24ClErN9O4S2 as an isolated structure from OMol25. Energies are from ωB97M-V/def2-TZVPD.

Calculated values
E_HOMO (alpha / beta)	-4.4 / -4.3	eV
strongest force on any atom	0.0188	hartree/bohr
LUMO (alpha / beta)	1.913 / 1.914	eV

The geometry in ORCA input format:
```
└──

Here it is =
C 1.123 -1.748 -0.396
C 1.053 -3.136 -0.758
H -0.960 -5.896 -0.431
H 0.757 -6.858 -1.948
H 2.667 -5.481 -2.664
H 3.880 -3.376 -2.674
H 4.029 -1.002 -2.008
H 2.282 0.023 -0.653
S -1.183 -0.296 -1.420
C -2.031 -1.707 -2.057
C -1.466 -2.697 -2.835
C -2.259 -3.770 -3.236
C -1.677 -4.833 -4.001
N -1.206 -5.681 -4.618
C -3.612 -3.809 -2.859
C -4.181 -2.779 -2.119
C -3.385 -1.707 -1.725
S -3.876 -0.316 -0.813
C -4.431 -4.930 -3.231
N -5.085 -5.832 -3.510
H -0.419 -2.661 -3.105
H -5.228 -2.822 -1.853
C 0.920 -1.866 3.551
O 0.835 -0.865 2.530
C 1.647 0.246 2.632